Feast of Christ the King – 25 November, Advent 1 – 2 December 2018

Now we all know that Christ is our king, our Saviour, our Redeemer, our Healer, Messiah. Scripture is very clear about who Christ is and how he has already saved us. But what I would
like to know is, how is Christ your King? Think about it! Now that you’ve thought about it, have a think about how you can help Jesus become someone else’s king. We now have the whole month of Advent to show Christ to the world, maybe not the whole world, but perhaps, to a few in our world.

This all leads into Advent:
Advent is a time of preparing to receive the Good News of Christ born among us. But as well as receiving, we are commissioned by Christ to give the Good News too. Unlike Easter which is often undergirded by repentance, repercussion and redemption, Advent is a time of almost unbridled expectation. In fact, when we do ‘Advent’ correctly, expectation can be palpable. The building of the story, of the waiting, of the ‘an-tic-i-pation’ can be almost unbearable. Why? What is it about the truth of the Good News being born anew at Christmas that compels us to participate? What is it about the Hope of God with us, the Peace of God which passes all understanding, the Joy of knowing that God is now always with us and the Love of God and others in our life, that compels us to join in? I wonder, have you even asked yourselves these questions? Have you ever wanted to experience this more fully? Have you ever yearned for a true connection to God and your fellow humans, but have sort of let it slip and not? These are tough questions to ask and answer. Advent is upon us, and the Good News of Christ is for you and yours, especially at Christmas and there is always time.

This year, St Peter’s is trying to generate some of this expectation, by initiating and participating in a Messy Nativity. This has a couple of different parts.
1. Messy Knitted Nativity. Our knitted Nativity scene is going on a trip around Wynnum and surrounding suburbs. It will roam from house to house for the whole of Advent. Then come home to St Peter’s on Christmas Eve, for our very first Messy Nativity Service at 6 pm Christmas Eve.
2. Messy Sheep Trail. Our wonderful family of St Peter’s have been madly knitting for these events. Our knitted sheep have been scattered along Bay Terrace in a variety of shops and businesses. We can’t find them and, we’ve forgotten their names. The Messy Sheep Trail encourages us to go find these lost sheep, discover their names and possibly win a great prize in the process. Ask St Peter’s Wardens for details!

In short St Peter’s Messy Nativity journey and Messy Sheep Trail are well underway. We have people on the roster, but there is always room for more. The shops and businesses are on board and the sheep are being named as we speak. All we need do now, is participate and anticipate.

Would you like to be a part of the Messy Nativity House hop? Perhaps you would like to try and find those silly lost sheep in the businesses along Bay Terrace in the Messy Sheep Trail? Maybe you just want to see how it all pans out and come to see, hear, and experience the culmination of all this prayer and forward planning, at our family service at 6pm on Christmas Eve.

Whether or not you choose to be a part of this Messy Expectation, or not, I pray and hope in your Advent preparations for the coming of the Good News. As we prepare to welcome the Christ Child anew among us, my prayer is for our Hope, Peace, Love and Joy in our Advent journey.

**What comes next are materials data, not part of the article**
........
Record 1
Entry from the Materials Project database: a relaxed structure of Mg2SiO4 (GGA-PBE).

Cell lengths 6.149, 6.149, 4.762 Å; angles 90.00, 90.00, 120.00 degrees
Sites, in units of the cell vectors:
O: 0.808 0.617 0.742
O: 0.808 0.192 0.742
O: 0.192 0.383 0.258
O: 0.333 0.667 0.761
O: 0.192 0.808 0.258
O: 0.617 0.808 0.258
O: 0.383 0.192 0.742
O: 0.667 0.333 0.239
Mg: 0.500 0.000 0.500
Mg: 0.000 0.500 0.500
Mg: 0.000 0.000 0.500
Mg: 0.500 0.500 0.500
Si: 0.333 0.667 0.100
Si: 0.667 0.333 0.900

Output
As for the size of the total moment: 0.00 μB per formula unit. The value obtained for the energy of formation is -21.0 eV/f.u. The value obtained for the energy above the most stable polymorph in this dataset is 223 meV per atom.

=====

Record 2
Entry from the Materials Project database: a relaxed structure of Mg2SiO4 (GGA-PBE).

Cell lengths 4.955, 4.955, 9.471 Å; angles 90.00, 90.00, 147.17 degrees
Sites, in units of the cell vectors:
Mg: 0.608 0.392 0.685
Mg: 0.392 0.608 0.185
Mg: 0.140 0.860 0.354
Mg: 0.860 0.140 0.854
O: 0.505 0.495 0.938
O: 0.955 0.045 0.663
O: 0.747 0.253 0.045
O: 0.204 0.796 0.827
O: 0.045 0.955 0.163
O: 0.253 0.747 0.545
O: 0.796 0.204 0.327
O: 0.495 0.505 0.438
Si: 0.873 0.127 0.499
Si: 0.127 0.873 0.999

Output
As for the size of the total moment: 0.00 μB per formula unit. The value obtained for the energy of formation is -21.1 eV/f.u. The value obtained for the energy above the most stable polymorph in this dataset is 213 meV per atom.

=====

(1)
DFT (PBE-GGA) results for CsMg14Ti after structural relaxation.

magnetization = 1.56 Bohr magnetons per cell
relative energy among the computed polymorphs = 0 kJ/mol of formula units
DFT formation energy = 224 meV per atom

abc: 6.5537 6.5537 10.7465
angles: 90.00 90.00 120.00
Closest atoms and distances in Å follow each position.
Space group P-6m2 (No. 187)
One atom of each set of equivalent atoms:
Cs (0.0000, 0.0000, 0.0000)  12 Mg 3.28-3.51
Mg (0.0088, 0.5044, 0.0000)  10 Mg 3.19-3.47, 2 Cs 3.28
Mg (0.1694, 0.3389, 0.2728)  8 Mg 3.09-3.33, 1 Ti 3.11
Mg (0.5039, 0.0079, 0.5000)  10 Mg 3.09-3.35, 2 Ti 3.28
Mg (0.6667, 0.3333, 0.2441)  12 Mg 3.26-3.31
Ti (0.0000, 0.0000, 0.5000)  12 Mg 3.11-3.28



(2)
DFT (PBE-GGA) results for CsMg14Ti after structural relaxation.

magnetization = 3.15 Bohr magnetons per cell
relative energy among the computed polymorphs = 23 kJ/mol of formula units
DFT formation energy = 239 meV per atom

abc: 10.6035 6.5733 11.2943
angles: 90.00 90.00 90.00
Closest atoms and distances in Å follow each position.
Space group Amm2 (No. 38)
One atom of each set of equivalent atoms:
Cs (0.0000, 0.0000, 0.0000)  10 Mg 3.24-3.43, 2 Ti 3.29
Mg (0.0000, 0.2497, 0.2476)  2 Ti 3.15-3.39, 8 Mg 3.22-3.40, 2 Cs 3.24-3.29
Mg (0.2433, 0.0000, 0.6591)  11 Mg 3.21-3.34, 1 Ti 3.24
Mg (0.2615, 0.2365, 0.4111)  10 Mg 3.11-3.46, 1 Ti 3.29, 1 Cs 3.42
Mg (0.2687, 0.0000, 0.1698)  11 Mg 3.09-3.40, 1 Cs 3.43
Mg (0.5000, 0.0000, 0.4967)  12 Mg 3.12-3.29
........

Christ is Coming….
Lord, we welcome you…..

The article is interrupted by materials data:
- - -
No. 1
# Cs4PbO4

Crystalline Cs4PbO4 at its relaxed geometry (PBE, the Materials Project). Values from VASP.

Cell and atoms, written as Quantum ESPRESSO input:
```
&SYSTEM
  ibrav = 0, nat = 36, ntyp = 3
/
ATOMIC_SPECIES
Cs 132.91 Cs.upf
Pb 207.20 Pb.upf
O 16.00 O.upf
ATOMIC_POSITIONS angstrom
Cs -0.101 0.641 2.232
Cs -2.252 3.138 7.813
Cs 1.519 4.634 0.928
Cs -0.633 6.704 6.509
Cs 0.643 5.023 9.966
Cs 2.795 6.315 4.385
Cs 1.698 1.353 8.809
Cs 3.850 2.426 3.228
Cs 3.932 5.133 7.933
Cs 6.083 6.205 2.353
Cs 4.987 1.243 6.776
Cs 7.139 2.536 1.195
Cs 8.415 0.855 4.653
Cs 6.263 2.925 10.234
Cs 10.034 4.420 3.349
Cs 7.883 6.917 8.930
Pb -1.343 0.938 11.056
Pb 0.808 2.841 5.475
Pb 6.974 4.717 5.686
Pb 9.125 6.621 0.106
O -3.277 1.780 10.865
O -1.126 1.999 5.284
O 1.172 3.906 3.680
O -0.979 7.432 9.261
O 0.975 4.046 7.222
O 3.127 7.292 1.641
O 2.204 1.259 5.682
O 4.355 2.520 0.101
O 3.426 5.039 11.060
O 5.578 6.299 5.480
O 4.655 0.267 9.521
O 6.807 3.512 3.940
O 8.761 0.127 1.901
O 6.610 3.652 7.482
O 8.908 5.559 5.877
O 11.059 5.778 0.296
CELL_PARAMETERS angstrom
12.085 0.000 0.000
0.000 7.559 0.000
-4.303 0.000 11.162
```

Properties
DFT formation energy: -1.51 eV per atom
symmetry: P2_1/c, No. 14
VASP energy: -151.63 eV for the cell shown
V: 1019.6 Å³/cell

No. 2
# CsPbO3

Crystalline CsPbO3 at its relaxed geometry (PBE, the Materials Project). Values from VASP.

Cell and atoms, written as Quantum ESPRESSO input:
```
&SYSTEM
  ibrav = 0, nat = 5, ntyp = 3
/
ATOMIC_SPECIES
Cs 132.91 Cs.upf
Pb 207.20 Pb.upf
O 16.00 O.upf
ATOMIC_POSITIONS angstrom
Cs 0.000 0.000 0.000
Pb 2.240 2.240 2.240
O 0.000 2.240 2.240
O 2.240 0.000 2.240
O 2.240 2.240 0.000
CELL_PARAMETERS angstrom
4.481 0.000 0.000
0.000 4.481 0.000
0.000 0.000 4.481
```

Properties
DFT formation energy: -1.12 eV per atom
spin magnetization: 0.21 μB/atom
symmetry: Pm-3m, No. 221
VASP energy: -23.01 eV for the cell shown
V: 89.9 Å³/cell

No. 3
# CsPdO3

Crystalline CsPdO3 at its relaxed geometry (PBE, the Materials Project). Values from VASP.

Cell and atoms, written as Quantum ESPRESSO input:
```
&SYSTEM
  ibrav = 0, nat = 5, ntyp = 3
/
ATOMIC_SPECIES
Cs 132.91 Cs.upf
Pd 106.42 Pd.upf
O 16.00 O.upf
ATOMIC_POSITIONS angstrom
Cs 0.000 0.000 0.000
Pd 2.100 2.100 2.100
O 0.000 2.100 2.100
O 2.100 0.000 2.100
O 2.100 2.100 0.000
CELL_PARAMETERS angstrom
4.200 0.000 0.000
0.000 4.200 0.000
0.000 0.000 4.200
```

Properties
DFT formation energy: -0.69 eV per atom
spin magnetization: 0.43 μB/atom
symmetry: Pm-3m, No. 221
VASP energy: -22.31 eV for the cell shown
V: 74.1 Å³/cell

No. 4
# Cs2PrO3

Crystalline Cs2PrO3 at its relaxed geometry (PBE, the Materials Project). Values from VASP.

Cell and atoms, written as Quantum ESPRESSO input:
```
&SYSTEM
  ibrav = 0, nat = 12, ntyp = 3
/
ATOMIC_SPECIES
Cs 132.91 Cs.upf
Pr 140.91 Pr.upf
O 16.00 O.upf
ATOMIC_POSITIONS angstrom
Cs 1.943 1.079 0.000
Cs 1.943 -1.079 3.365
Cs 9.946 1.079 0.000
Cs 9.946 -1.079 3.365
Pr 5.944 0.754 0.291
Pr 5.944 -0.754 3.656
- - -

Shalom, Donna (Vicar – St Peter’s Wynnum)